**Work order**
Could you find the line further below that holds "**E_form**: -0.0460", then give back that line and all lines after it there?

**Source**
-- begin --
[1]
The following is a PBE calculation of a relaxed Ta6AlMo5 crystal, from Alexandria.

Properties
**Symmetry**: No. 71
**VASP energy**: -131.41 eV/f.u.
**E_form**: -0.1996 eV/atom

```
Ta6AlMo5
1.0
-3.888 -1.083 2.107
-2.868 -0.896 -5.753
5.263 -5.607 1.910
Mo Al Ta
5 1 6
Direct
0.660 0.160 0.320
0.331 0.331 0.663
0.000 0.500 0.000
0.669 0.669 0.337
0.340 0.840 0.680
0.000 0.000 0.000
0.831 0.578 0.663
0.831 0.085 0.663
0.500 0.741 0.000
0.500 0.259 0.000
0.169 0.915 0.337
0.169 0.422 0.337
```


[2]
The following is a PBE calculation of a relaxed NbV3Co crystal, from Alexandria.

Properties
**Symmetry**: No. 2
**VASP energy**: -44.76 eV/f.u.
**Relative energy among the computed polymorphs**: 0.0000 eV/atom
**E_form**: -0.0460 eV/atom

```
NbV3Co
1.0
4.967 0.558 0.261
0.727 6.063 0.976
-0.083 -2.233 4.327
Nb V Co
2 6 2
Direct
0.793 0.850 0.434
0.207 0.150 0.566
0.872 0.609 0.820
0.329 0.680 0.638
0.128 0.391 0.180
0.671 0.320 0.362
0.348 0.700 0.151
0.652 0.300 0.849
0.000 0.000 0.000
0.500 0.000 0.000
```


[3]
The following is a PBE calculation of a relaxed Ce2TlHg6 crystal, from Alexandria.

Properties
**Symmetry**: No. 12
**VASP energy**: -18.32 eV/f.u.
**Relative energy among the computed polymorphs**: 0.0000 eV/atom
**E_form**: -0.2527 eV/atom

```
Ce2TlHg6
1.0
6.000 0.000 1.431
0.000 8.913 0.000
-1.243 -4.456 4.078
Ce Tl Hg
2 1 6
Direct
0.671 0.670 0.340
0.329 0.330 0.660
-- stop --

**Reply**
**E_form**: -0.0460 eV/atom

```
NbV3Co
1.0
4.967 0.558 0.261
0.727 6.063 0.976
-0.083 -2.233 4.327
Nb V Co
2 6 2
Direct
0.793 0.850 0.434
0.207 0.150 0.566
0.872 0.609 0.820
0.329 0.680 0.638
0.128 0.391 0.180
0.671 0.320 0.362
0.348 0.700 0.151
0.652 0.300 0.849
0.000 0.000 0.000
0.500 0.000 0.000
```


[3]
The following is a PBE calculation of a relaxed Ce2TlHg6 crystal, from Alexandria.

Properties
**Symmetry**: No. 12
**VASP energy**: -18.32 eV/f.u.
**Relative energy among the computed polymorphs**: 0.0000 eV/atom
**E_form**: -0.2527 eV/atom

```
Ce2TlHg6
1.0
6.000 0.000 1.431
0.000 8.913 0.000
-1.243 -4.456 4.078
Ce Tl Hg
2 1 6
Direct
0.671 0.670 0.340
0.329 0.330 0.660